(Wanted)
Search the contents further below for the word "method" and give back each line that has it.

(File)
=====
{
  "formula": "C4H12O",
  "method": "ωB97M-V/def2-TZVPD",
  "fmax_ev_per_a": 2.3,
  "e_homo_ev": -10.2724,
  "smiles": "CCO.CC",
  "e_tot_ha": -234.79255,
  "relative_energy_kcal_mol": 25.1,
  "charge": 0,
  "symbols": ["C", "C", "O", "H", "H", "H", "H", "H", "H", "C", "C", "H", "H", "H", "H", "H", "H"],
  "positions_angstrom": [[-0.207, 1.746, 1.487], [0.124, 0.277, 1.786], [0.901, 2.682, 1.497], [-0.608, 2.036, 0.516], [-0.845, 2.065, 2.302], [-0.475, -0.097, 2.601], [1.458, 2.555, 0.715], [1.143, 0.250, 2.150], [0.055, -0.490, 1.011], [-0.302, -1.835, -1.172], [-0.070, -0.899, -2.331], [-1.315, -1.908, -0.746], [0.029, -2.853, -1.388], [0.366, -1.472, -0.394], [-0.558, -1.286, -3.231], [0.973, -0.781, -2.604], [-0.669, 0.009, -2.200]],
  "atomic_forces_ev_per_a": [[0.609, 0.746, -0.616], [0.472, -0.036, -0.209], [0.628, -0.450, 0.669], [-1.073, -1.089, 0.048], [-0.204, 0.435, -0.180], [-0.370, 0.013, 0.332], [-0.350, -0.140, 0.263], [0.365, 0.000, 0.115], [-0.115, 0.741, -0.126], [0.792, -0.410, 0.670], [-1.935, -0.320, -1.136], [0.251, 0.336, -0.463], [-0.060, 0.021, -0.111], [-0.130, -0.363, 0.285], [0.160, -0.295, -0.119], [0.085, 0.432, 0.334], [0.873, 0.379, 0.244]],
  "mulliken_charge": [-0.210, -0.632, -0.563, 0.322, 0.204, 0.337, 0.293, 0.345, -0.196, -0.650, -0.879, 0.328, 0.315, 0.124, 0.303, 0.303, 0.257]
}


{
  "formula": "C7H10ClN",
  "method": "ωB97M-V/def2-TZVPD",
  "fmax_ev_per_a": 1.4,
  "e_homo_ev": -7.9720,
  "e_tot_ha": -787.56469,
  "relative_energy_kcal_mol": 32.7,
  "charge": 0,
  "symbols": ["C", "C", "C", "C", "C", "C", "C", "N", "Cl", "H", "H", "H", "H", "H", "H", "H", "H", "H", "H"],
  "positions_angstrom": [[1.524, 0.638, 0.213], [-0.673, -0.493, -0.065], [0.374, -2.210, 1.380], [0.321, 0.520, -0.677], [-0.016, -1.812, 0.184], [3.628, -0.496, -0.333], [-0.342, 1.884, -0.839], [2.545, -0.087, 0.061], [4.261, -2.008, 0.093], [1.487, 1.306, 1.061], [-1.053, -0.088, 0.876], [-1.510, -0.617, -0.758], [0.862, -3.154, 1.543], [0.218, -1.591, 2.248], [0.649, 0.139, -1.650], [0.154, -2.428, -0.689], [0.375, 2.609, -1.213], [-0.717, 2.226, 0.123], [-1.174, 1.826, -1.537]],
  "atomic_forces_ev_per_a": [[-0.362, -0.171, -0.112], [0.196, -0.064, -0.100], [0.005, -0.189, -0.003], [-0.114, 0.015, 0.128], [-0.370, 0.031, -0.038], [0.977, 0.534, -0.848], [0.188, -0.188, -0.089], [-0.448, 0.473, 0.237], [-0.081, -0.758, 0.418], [0.049, 0.144, 0.188], [-0.057, 0.019, -0.034], [-0.054, 0.094, 0.073], [0.148, -0.221, -0.017], [-0.071, 0.147, 0.216], [0.057, 0.018, 0.062], [0.101, -0.174, -0.079], [0.003, 0.161, -0.054], [-0.071, 0.116, 0.075], [-0.095, 0.015, -0.021]],
  "mulliken_charge": [-0.658, -0.845, -0.728, 0.718, -0.171, -0.091, -1.647, 0.114, -0.106, 0.371, 0.348, 0.392, 0.287, 0.241, 0.279, 0.314, 0.423, 0.374, 0.385]
}


{
  "formula": "C5H8NO2",
  "method": "ωB97M-V/def2-TZVPD",
  "fmax_ev_per_a": 1.4,
  "e_homo_ev": -4.0034,
  "smiles": "C=CCCNC(=O)[O-]",
  "e_tot_ha": -400.59826,
  "relative_energy_kcal_mol": 10.3,
  "charge": -1,
  "symbols": ["C", "C", "C", "C", "N", "C", "O", "O", "H", "H", "H", "H", "H", "H", "H", "H"],
  "positions_angstrom": [[-0.196, -0.062, -0.991], [-0.089, 0.369, 0.466], [0.793, 1.582, 0.586], [1.648, 1.775, 1.571], [-1.039, -1.186, -1.270], [-1.138, -2.420, -0.522], [-0.481, -2.461, 0.534], [-1.936, -3.249, -1.022], [-0.601, 0.778, -1.572], [0.828, -0.128, -1.397], [0.352, -0.467, 0.990], [-1.104, 0.486, 0.840], [0.574, 2.346, -0.165], [2.248, 2.665, 1.681], [1.811, 0.991, 2.307], [-1.669, -1.018, -2.035]],
  "atomic_forces_ev_per_a": [[0.128, 0.483, -0.375], [0.656, -0.379, -0.418], [-1.383, -0.032, -0.041], [0.489, -0.134, 0.231], [0.136, 0.258, -0.054], [-0.910, 0.291, -0.557], [0.402, -0.273, 0.087], [0.368, 0.168, 0.169], [-0.155, 0.092, 0.093], [0.130, -0.473, 0.132], [-0.064, -0.142, 0.362], [-0.080, 0.371, 0.244], [0.396, 0.146, 0.130], [0.040, 0.195, -0.094], [-0.059, 0.064, -0.041], [-0.094, -0.637, 0.131]],
=====

(Response)
  "method": "ωB97M-V/def2-TZVPD",
  "method": "ωB97M-V/def2-TZVPD",
  "method": "ωB97M-V/def2-TZVPD",